Chapter 006

It has been three days since the day this year's yearly examination ended.

Today, was the day examinee's receive a letter through the mailbox from the league. In the Eclairè househould, the family were huddled together on the living room table, staring jointly in maximum graveness on their faces, at the same innocent piece of paper that was placed on the center.

This letter contained Clan's results in the exam and would determine how high he placed. Clan was in anticipation and was very worried. He steeled himself and decided. "I'll open it."

== Between two parts of the text: crystal structures ==
(1)
The following is a PBE calculation of CsAs2H2 after structural relaxation, from the Alexandria database.

Cell: 4.804 4.804 5.539 Å, 90.00 90.00 116.67°
Sites, in units of the cell vectors:
Cs  0.000  0.000  0.000
As  0.701  0.299  0.500
As  0.299  0.701  0.500
H  0.500  0.500  0.666
H  0.500  0.500  0.334

raw total energy: -3.278 eV per atom


(2)
The following is a PBE calculation of Tm2ThIn2 after structural relaxation, from the Alexandria database.

Cell: 5.240 5.240 6.499 Å, 90.00 90.00 120.00°
Sites, in units of the cell vectors:
Tm  0.333  0.667  0.664
Tm  0.667  0.333  0.336
Th  0.000  0.000  0.000
In  0.333  0.667  0.191
In  0.667  0.333  0.809

energy of formation from the pure elements: -2.295 kcal/mol of atoms
raw total energy: -4.467 eV per atom


(3)
The following is a PBE calculation of Pr7Dy2Sc2 after structural relaxation, from the Alexandria database.

Cell: 6.708 10.159 6.708 Å, 90.00 122.02 90.00°
Sites, in units of the cell vectors:
Pr  0.000  0.317  0.500
Pr  0.500  0.683  0.000
Pr  0.000  0.683  0.500
Pr  0.500  0.317  0.000
Pr  0.000  0.000  0.000
Pr  0.500  0.791  0.500
Pr  0.500  0.209  0.500
Dy  0.714  0.000  0.286
Dy  0.286  0.000  0.714
Sc  0.747  0.500  0.747
Sc  0.253  0.500  0.253

energy of formation from the pure elements: 8.028 kcal/mol of atoms
raw total energy: -4.681 eV per atom


(4)
The following is a PBE calculation of TbCd6Hg after structural relaxation, from the Alexandria database.

Cell: 4.835 6.071 7.165 Å, 115.07 90.00 90.00°
Sites, in units of the cell vectors:
Tb  0.500  0.697  0.395
Cd  0.500  0.665  0.855
Cd  0.500  0.190  0.855
Cd  0.000  0.812  0.147
Cd  0.000  0.335  0.147
Cd  0.000  0.299  0.597
Cd  0.000  0.860  0.720
Hg  0.500  0.142  0.283

energy of formation from the pure elements: -2.544 kcal/mol of atoms
raw total energy: -1.413 eV per atom


(5)
The following is a PBE calculation of BaAcHgGe after structural relaxation, from the Alexandria database.

Cell: 5.723 5.723 5.723 Å, 60.00 60.00 60.00°
Sites, in units of the cell vectors:
Ac  0.000  0.000  0.000
Ge  0.250  0.250  0.250
Hg  0.750  0.750  0.750
Ba  0.500  0.500  0.500

energy of formation from the pure elements: -10.916 kcal/mol of atoms
raw total energy: -3.211 eV per atom


(6)
The following is a PBE calculation of ThInNiPt after structural relaxation, from the Alexandria database.

Cell: 4.867 4.867 4.867 Å, 60.00 60.00 60.00°
Sites, in units of the cell vectors:
Ni  0.250  0.250  0.250
Pt  0.750  0.750  0.750
Th  0.000  0.000  0.000
In  0.500  0.500  0.500

energy of formation from the pure elements: -14.128 kcal/mol of atoms
raw total energy: -6.108 eV per atom


(7)
The following is a PBE calculation of MgCd6F12 after structural relaxation, from the Alexandria database.

Cell: 6.678 6.678 6.678 Å, 99.19 99.19 99.19°
Sites, in units of the cell vectors:
Mg  0.000  0.000  0.000
Cd  0.704  0.865  0.391
Cd  0.609  0.296  0.135
Cd  0.135  0.609  0.296
Cd  0.296  0.135  0.609
Cd  0.391  0.704  0.865

Clint and Noraima nodded, seriousness shown on their faces for their son. They placed an arm on each of Clan's shoulder, cheering for him to do it. They also couldn't wait to see how well their son did, generally by recieving a letter this early as notice would show he passed the exam and was qualified in the top hundred. Nevertheless, even they knew how important it was to be placed higher than the rest of this year's qualifiers.

Ranking in top three signified a person, according to the order from top to buttom, could choose one of the regional starters as their starter pokemon, except for the third ranker though, since he didn't really have much of a choice since basically what was left from the three pokemon would be his, since the other two would be picked by the two person ranking higher.

Regional starters were rare and highly prized pokemons, as everyone knew among their own region.

On the other hand, ranking outside the top three doesn't mean you will recieve a shitty pokemon, it will 'greatly be less' exotic, sure. But, don't underestimate it, for example one of the most common pokemon distributed around the league for trainers, were the species, geodude, which would eventually evolved to a pretty damn powerful pokemon, golem.

Golem, are lethal to a trainer's battling arsenal if used and trained correctly. Furthermore, all the pokemons that are being handed out are personally raised and trained by their respective regional professor, to be ready and have enough moveset in to be a starter pokemon.

Either way the reason for the PRTE was to entitle someone as a new trainer, which then they would recieve their Trainer ID so they are eligible to carry a pokemon in a pokeball, in their possesion, according to the rules set the by the Pokemon World League.

You can decide to gain a starter from your regional professor. Those who decided against it, the other new trainers will either recieve their starter pokemon from their parents, breeders or from a gym leader on the condition that they would become, said gym's gym trainer.

Each gym leader is also a specialist of a single certain typing. In fact, if you choose to become a gym trainer, the wise choice was to pick a gym that specialised in a typing you preffered.


The stench of anticipation and the tension around the whole living room was through the roof. When Clan's hands pried open the letter and unfolded it with trembling hands, his body turned stiff after speed reading through the words that were written.

Clint and Noraima held their worried gazes on their son, when they saw him taking an unusual amount of time just staring blankly and was still as a rock, they couldn't help themselves but talk.

"So..." said the brunette woman, clenching her hold on to her husband's hand. "How did you do, son?"

It took a second to get a response from Clan, he turned towards them with an unreadable expression worn on his face. "I... Take a look for yourself, mom."

He showed them what was written while his face was slowly masked with the biggest grin plastered possible.

'Examinee Clan Eclairé, the Pokemon League of Sinnoh, would like to express our appreciativeness on your achievement in placing second [#2] in this season's Pokemon Regional Licensing Examination, we granted your application in becoming a trainer since you passed and is eligible enough to be entitled as such.'

'Professor Rowan will be expecting for you to retrieve your Pokemon Trainer License on the day of this month's 23rd which is three days from now. Since you passed this examination placing within the top three, you gain special privilege on choosing a starter pokemon from our regional professor, for further information please approach the professor... Congratulations and best wishes for your pokemon adventure.'


Noraima covered her mouth as tears rolled down her eyes. Clint bear hugged his son, who was so happy he spun his son around.


Clan didn't care if he goes dizzy or sick from the rapid spinning, his face was beaming in happiness right now. He did it, He finally did it, Clan thought. He was very content on his rank. For this past days, he was worried he wouldn't manage to be within the top three but all the hard work was worth it, since he did it in the end.

Clint carefully put down his son, he patted his shoulder very proudly. Noraima practically teleported at his side and ensnared him with a breathtaking hug while gibbering words like "Oh! My baby boy!" and "We are so proud of you!"

And it was true, they really were feeling so much proud for Clan. They were elated on their son placing so high.

Clan laughed merrily for who knows how long with his parents. The whole family were over the moon for the rest of their morning. In this instance, Clan would say, this was the happiest day of his life.


The air of Twinleaf Town, was coolly clean, perfect and refreshing. As Clan stepped outside, he couldn't think of a better afternoon than this.

Clan decided to visit his friends at their house, he assumed that they already also recieved their report letters. He was in no doubt they are included in the top hundred, at any rate he was eager to know how high they placed.

As he rode his bicycle, he found himself slowly taking in the surrounding. Twinleaf Town was a place he had always taken for granted. Apart from Barry's father who was the the Battle Brain of Sinnoh's Battle Frontier and Dawn's mother who was a Top Coordinator at the top of her career, Twinleaf was nothing special, and even if it was a substantial place, he was perfectly used to it, having lived here his whole entire life.

How coincedental though for his childhood friends both having amazing parents that were the only two current most successful trainer in town. While he, coming from an ordinary family and an ordinary place managed to befriend them, they met through their parents when they were just kids, Barry and Dawn often fought with each other while Clan would act as a peace maker between the two and it had always been that way ever since.

It was odd, he found himself noticing the place more. On that tree he passed by, was the tree Barry and Clan climbed up to avoid and hide from an angry Dawn when they were young. On that playground, a few years ago, the three of them would frequently play together with some of the town's kids. Now that Clan knew he was leaving the town soon... everything suddenly feels so... different. He remembered the places in ways that he never had before. He appreciated the places that he had spent his whole life taking for granted. Every single tiny little detail suddenly becomes enormous, as though it was suddenly the most important thing in his life.

"Hey, Clan!"

**Attached: crystal structures**
'''
[1]
# LaAl2Te2 (PBE, relaxed)
data_LaAl2Te2
_chemical_formula_sum 'La2 Al4 Te4'
_cell_length_a 3.935
_cell_length_b 3.935
_cell_length_c 18.032
_cell_angle_alpha 90.00
_cell_angle_beta 90.00
_cell_angle_gamma 90.00
_symmetry_space_group_name_H-M 'I 4/m m m'
_symmetry_Int_Tables_number 139
_symmetry_space_group_name_Hall '-I 4 2'
loop_
_atom_site_label
_atom_site_fract_x
_atom_site_fract_y
_atom_site_fract_z
La1 0.000 0.000 0.000
Al1 0.000 0.500 0.250
Te1 0.000 0.000 0.397
# ΔE to the lowest computed polymorph = 0.0000 eV per atom
# E_form (uncorrected) = -555 meV per atom

---

[2]
# Nd3Mg4Ga4 (PBE, relaxed)
data_Nd3Mg4Ga4
_chemical_formula_sum 'Nd6 Mg8 Ga8'
_cell_length_a 4.586
_cell_length_b 7.360
_cell_length_c 15.209
_cell_angle_alpha 90.00
_cell_angle_beta 90.00
_cell_angle_gamma 90.00
_symmetry_space_group_name_H-M 'I m m m'
_symmetry_Int_Tables_number 71
_symmetry_space_group_name_Hall '-I 2 2'
loop_
_atom_site_label
_atom_site_fract_x
_atom_site_fract_y
_atom_site_fract_z
Nd1 0.000 0.000 0.000
Nd2 0.000 0.500 0.120
Mg1 0.000 0.304 0.329
Ga1 0.000 0.000 0.217
Ga2 0.000 0.183 0.500
# Formation energy from the elements = -0.45 eV/atom

---

[3]
# TbY2Tm6Sc3 (PBE, relaxed)
data_TbY2Tm6Sc3
_chemical_formula_sum 'Tb2 Y4 Tm12 Sc6'
_cell_length_a 5.996
_cell_length_b 10.377
_cell_length_c 11.408
_cell_angle_alpha 90.00
_cell_angle_beta 100.07
_cell_angle_gamma 90.00
_symmetry_space_group_name_H-M 'C 1 2/m 1'
_symmetry_Int_Tables_number 12
loop_
_symmetry_equiv_pos_as_xyz
'x,y,z'
'-x,-y,-z'
'-x,y,-z'
'x,-y,z'
'x+1/2,y+1/2,z'
'-x+1/2,-y+1/2,-z'
'-x+1/2,y+1/2,-z'
'x+1/2,-y+1/2,z'
loop_
_atom_site_label
_atom_site_fract_x
_atom_site_fract_y
_atom_site_fract_z
Tb1 0.000 0.000 0.000
Y1 0.000 0.333 0.000
Tm1 0.246 0.000 0.740
Tm2 0.247 0.334 0.740
Sc1 0.000 0.167 0.500
Sc2 0.000 0.500 0.500
# Formation energy from the elements = 0.05 eV/atom

---

Number 1: DOS at the Fermi energy 1.14 states/eV/f.u., E -4.294 eV/atom. Number 2: DOS at the Fermi energy 5.52 states/eV/f.u., E -3.433 eV/atom. Number 3: DOS at the Fermi energy 18.88 states/eV/f.u., E -5.234 eV/atom.
'''

The teenage boy turned to see his childhood friends, Dawn Berlitz and Barry Palmer also riding their bike, Clan guessed they also decided to visit their good'ol buddy'ol pal eh? Clan's face immediately brightened upon seeing them.

"Yow, you guys!"

They gathered around after parking their respective bike on a stand. Clan smiled at his friends and said. "I see that you guys also have recieved the letter, eh?"

Dawn and Barry both looked at each other and nodded. Dawn was the first to talk about since it seems neither of the two boys planned on sharing first. "My mother's glameow opened it before both me and my mom could even notice it already in the mail. Luckily, she didn't ripped it apart with her sharp claws or we would have been in the dark for who knows how long. Oh... by the way, I was placed #8. How about you, Barry? What rank did you achieve?" Dawn asked curiously, to be honest as long as she was ranked higher than Barry, she wouldn't be sad about being topped by Clan.

"Ughhhh, how come you got rank #8, Dawn! I was sure I would be placed higher than you! I'm ranked #10. Did people in the league even scored my papers correctly? I'll gonna fine them if they failed to do their job correctly!!" Barry was frustrated, he scratched his hair with both hands very irritated by being bested by Dawn.

"I highly doubt the league would make such a mistake, Barry. Porygons, handle the scoring through their cyberspace, remember?" Clan interjected.

"Why are you so sure you would be placed higher than me anyways, Barry? Are you implying you're smarter than me?" Dawn narrowed her eyes on Barry, she snickered at him fiercely.

Barry colored a bit and looked away, muttering under his breath. "...just because your mom keeps on teasing Clan into tutoring you every moment doesn't mean you can murkrow over me..."

"Did you just called me a murkrow, Barry!?" Dawn literally jumped like a cat on to Barry and began shaking him side by side like a large bell.

"Now, now, guys, that's enough."

Clan seperated the two by pulling Dawn with difficulty. Clan sighed at this woman, how could she be so fierce, she literally made Barry puke from that.


Barry wiped the gross saliva off his mouth. He turned towards Clan. "You still haven't told us anything, dude. Did you rank low, that made you too embarrassed to talk about it?"

"Stupid, Clan studied much harder than us and he even tutored me personally, how can you be so dumb." Rasing her arms plus shaking her head, Dawn giggled and sighed.

"Shut up! or else I'm gonna fine you." Barry growled, trying to act angry to which Dawn retorted by sticking her tongue at him. That worked as another ticked mark pop up on his head.

"Guys, you really should stop..." Bitterly smilling at them, Clan was incapable of imagining a day for this two hanging out together without him. He kind of have been their babysitter. Without him beside them supervising them, they would be literally aiming at each other's throats, but it's all done halfheartedly, they didn't really have such serious heated arguements with each other.

"Seriously though, Clan. What rank did you got?" Dawn asked.

Clan smiled while facing them. "I ranked second."

The two noctowl tilted their head for a second before his words registered to their brain.

[Here the page breaks off for materials data]
-- begin --
1.
# Zn2Sb | Alexandria via LeMat-Bulk | PBE | relaxed
# ΔE_f (raw) ... 0.1391 eV/atom
# V ... 21.0 Å³/atom
# E_tot ... -2.0843 eV per atom
data_Zn2Sb
_space_group_name_H-M_alt 'P -3 m 1'
_space_group_IT_number 164
_space_group_name_Hall '-P 3 2"'
_cell_length_a 4.2003
_cell_length_b 4.2003
_cell_length_c 4.1224
_cell_angle_alpha 90.00
_cell_angle_beta 90.00
_cell_angle_gamma 120.00
loop_
_atom_site_label
_atom_site_type_symbol
_atom_site_fract_x
_atom_site_fract_y
_atom_site_fract_z
Zn1 Zn 0.3333 0.6667 0.3628
Sb1 Sb 0.0000 0.0000 0.0000

=====

2.
# ZnSb3 | Alexandria via LeMat-Bulk | PBE | relaxed
# Polymorph energy (0 for the lowest one) ... 157.4 meV/atom
# ΔE_f (raw) ... 0.2442 eV/atom
# V ... 25.0 Å³/atom
# E_tot ... -3.1661 eV per atom
data_ZnSb3
_space_group_name_H-M_alt 'R -3 m'
_space_group_IT_number 166
_space_group_name_Hall '-R 3 2"'
_cell_length_a 3.3642
_cell_length_b 3.3642
_cell_length_c 30.6189
_cell_angle_alpha 90.00
_cell_angle_beta 90.00
_cell_angle_gamma 120.00
loop_
_atom_site_label
_atom_site_type_symbol
_atom_site_fract_x
_atom_site_fract_y
_atom_site_fract_z
Zn1 Zn 0.0000 0.0000 0.0000
Sb1 Sb 0.0000 0.0000 0.2606
Sb2 Sb 0.0000 0.0000 0.5000

=====

3.
# Zn3Sb | Alexandria via LeMat-Bulk | PBE | relaxed
# ΔE_f (raw) ... 0.1766 eV/atom
# V ... 19.6 Å³/atom
# E_tot ... -1.8095 eV per atom
data_Zn3Sb
_space_group_name_H-M_alt 'P 4/m m m'
_space_group_IT_number 123
_space_group_name_Hall '-P 4 2'
_cell_length_a 3.805
_cell_length_b 3.805
_cell_length_c 5.415
_cell_angle_alpha 90.00
_cell_angle_beta 90.00
_cell_angle_gamma 90.00
loop_
_atom_site_label
_atom_site_type_symbol
_atom_site_fract_x
_atom_site_fract_y
_atom_site_fract_z
Zn1 Zn 0.000 0.000 0.000
Zn2 Zn 0.500 0.500 0.240
Sb1 Sb 0.000 0.000 0.500

=====

4.
# Zn3Sb | Alexandria via LeMat-Bulk | PBE | relaxed
# ΔE_f (raw) ... 0.1341 eV/atom
# V ... 19.6 Å³/atom
# E_tot ... -1.8519 eV per atom
data_Zn3Sb
_space_group_name_H-M_alt 'R -3 m'
_space_group_IT_number 166
_space_group_name_Hall '-R 3 2"'
_cell_length_a 3.2984
_cell_length_b 3.2984
_cell_length_c 24.9184
_cell_angle_alpha 90.00
_cell_angle_beta 90.00
_cell_angle_gamma 120.00
loop_
_atom_site_label
_atom_site_type_symbol
_atom_site_fract_x
_atom_site_fract_y
_atom_site_fract_z
Zn1 Zn 0.0000 0.0000 0.0000
Zn2 Zn 0.0000 0.0000 0.2593
Sb1 Sb 0.0000 0.0000 0.5000

=====

5.
# ZnSb3 | Alexandria via LeMat-Bulk | PBE | relaxed
# Polymorph energy (0 for the lowest one) ... 154.8 meV/atom
# ΔE_f (raw) ... 0.2416 eV/atom
# V ... 25.3 Å³/atom
# E_tot ... -3.1687 eV per atom
data_ZnSb3
_space_group_name_H-M_alt 'I 4/m m m'
_space_group_IT_number 139
_space_group_name_Hall '-I 4 2'
_cell_length_a 5.501
_cell_length_b 5.501
_cell_length_c 6.683
_cell_angle_alpha 90.00
_cell_angle_beta 90.00
_cell_angle_gamma 90.00
loop_
_atom_site_label
_atom_site_type_symbol
_atom_site_fract_x
_atom_site_fract_y
_atom_site_fract_z
Zn1 Zn 0.000 0.000 0.000
Sb1 Sb 0.000 0.000 0.500
Sb2 Sb 0.000 0.500 0.250

=====

6.
-- stop --


"Second? Dude!!"

"I'm so happy for you, Clan. This calls for a celebration, haha! Free chocolate milks, right?"

Clan, Dawn and Barry laughed together. Clan stand corrected, this is the happiest moment of his life.